Input
┌──
13 unconnected molecules or ions with the total composition C73H77FIN15OS at a distorted geometry, computed with the ωB97M-V functional and the def2-TZVPD basis.

```
169
Properties=species:S:1:pos:R:3:mulliken_charge:R:1
C -1.1870 -1.6767 -2.3957 -0.918
C -2.3172 -0.9343 -1.4115 0.344
O -2.9408 0.1214 -2.2217 -0.276
C -4.4079 0.1144 -2.1298 -0.479
C -4.9913 1.4005 -1.2438 1.229
C -4.2307 1.9755 0.1277 0.301
F -2.9922 1.3460 0.6829 -0.290
C -4.7965 3.2918 0.9808 -0.733
I -3.7164 3.9763 2.7575 0.083
C -6.1460 4.1227 0.5433 0.460
N -6.8176 5.3458 1.1273 -0.493
S -8.2262 5.6570 0.0815 0.200
N -8.0976 4.3335 -1.1004 -0.480
C -6.8561 3.4764 -0.7899 0.019
C -6.3662 2.1647 -1.7040 0.181
C -7.3091 1.8006 -2.9936 -0.928
C -7.8942 0.2703 -3.0228 -0.542
C -7.9750 -0.4759 -1.5663 0.171
C -8.8989 0.2809 -0.4437 -0.063
N -10.0301 1.1176 -0.9985 -0.617
H -1.0171 -1.0015 -3.3381 0.218
H -0.1901 -1.7866 -1.7775 0.299
H -1.6065 -2.7491 -2.6953 0.270
H -3.0346 -1.7911 -1.0658 -0.251
H -1.7340 -0.5635 -0.4677 0.187
H -4.8082 0.3110 -3.2372 0.067
H -4.8842 -0.9006 -1.7958 0.304
H -6.6538 1.9868 -3.9596 0.323
H -8.2242 2.5623 -3.0780 0.351
H -7.1857 -0.3602 -3.7362 0.289
H -8.9382 0.3192 -3.5966 0.346
H -6.9352 -0.7256 -1.0781 -0.394
H -8.4944 -1.5326 -1.7640 0.382
H -8.1496 0.9244 0.2253 0.133
H -9.3196 -0.5531 0.2826 -0.220
H -9.6681 2.0914 -1.0952 0.331
H -10.4241 0.7384 -1.8871 0.285
N -10.6291 -3.5142 0.7218 -0.508
C -10.8149 -2.5292 1.6276 -0.506
C -10.8169 -2.7330 2.9983 -0.480
C -10.6205 -4.0260 3.4716 -0.346
C -10.4283 -5.0620 2.5634 0.045
C -10.4392 -4.7587 1.2114 -0.537
H -10.9671 -1.5386 1.2089 0.659
H -10.9683 -1.9039 3.6801 0.424
H -10.6169 -4.2249 4.5394 0.399
H -10.2732 -6.0807 2.9003 0.272
H -10.2901 -5.5321 0.4632 0.586
N 2.3141 5.2624 1.8931 -0.394
C 1.0869 5.2243 2.4570 -0.409
C 0.0414 4.4526 1.9759 0.034
C 0.2640 3.6743 0.8449 -0.139
C 1.5167 3.6938 0.2404 -0.765
C 2.5006 4.4948 0.7974 0.240
H 0.9619 5.8512 3.3350 0.359
H -0.9232 4.4586 2.4707 -0.121
H -0.5319 3.0574 0.4379 0.590
H 1.7220 3.0990 -0.6424 0.391
H 3.4959 4.5414 0.3643 0.078
N 8.0141 7.2912 0.4185 -0.592
C 6.7869 7.2531 0.9824 -0.376
C 5.7414 6.4814 0.5013 -0.133
C 5.9640 5.7031 -0.6297 0.015
C 7.2167 5.7226 -1.2341 -0.817
C 8.2006 6.5236 -0.6772 0.011
H 6.6619 7.8800 1.8605 0.386
H 4.7768 6.4875 0.9961 0.372
H 5.1681 5.0862 -1.0367 0.414
H 7.4220 5.1278 -2.1170 0.392
H 9.1959 6.5702 -1.1103 0.351
N -11.8821 -8.8178 3.1217 -0.505
C -10.6198 -9.2939 3.1954 -0.208
C -10.2174 -10.2762 4.0861 -0.481
C -11.1647 -10.8015 4.9586 -0.036
C -12.4725 -10.3302 4.9082 -0.499
C -12.7799 -9.3483 3.9802 -0.224
H -9.9168 -8.8503 2.4963 0.397
H -9.1904 -10.6228 4.0995 0.506
H -10.8863 -11.5718 5.6718 0.363
H -13.2339 -10.7187 5.5750 0.355
H -13.7877 -8.9505 3.8994 0.349
N 9.8404 2.8751 2.9372 -0.390
C 10.6920 3.2706 3.9086 -0.288
C 10.8724 4.5922 4.2842 -0.430
C 10.1386 5.5706 3.6218 -0.597
C 9.2548 5.1948 2.6155 0.259
C 9.1405 3.8473 2.3133 -0.426
H 11.2440 2.4707 4.3934 0.369
H 11.5684 4.8523 5.0735 0.371
H 10.2541 6.6173 3.8877 0.402
H 8.6689 5.9332 2.0800 0.129
H 8.4614 3.5034 1.5381 0.457
N 0.1513 2.9537 -4.9925 -0.452
C 0.6955 4.1884 -4.9224 -0.252
C 0.1845 5.2125 -4.1412 -0.507
C -0.9567 4.9589 -3.3876 -0.298
C -1.5413 3.6977 -3.4403 -0.438
C -0.9549 2.7369 -4.2484 -0.321
H 1.5826 4.3379 -5.5309 0.414
H 0.6644 6.1844 -4.1211 0.391
H -1.3869 5.7373 -2.7643 0.409
H -2.4314 3.4684 -2.8655 0.496
H -1.3717 1.7362 -4.3205 0.476
N -6.1108 -5.5344 -0.1024 -0.578
C -4.8066 -5.1830 -0.1319 -0.409
C -4.3099 -4.0168 0.4278 -0.393
C -5.2038 -3.1542 1.0534 -0.477
C -6.5536 -3.4876 1.0984 -0.233
C -6.9545 -4.6780 0.5134 -0.048
H -4.1493 -5.8869 -0.6341 0.387
H -3.2518 -3.7863 0.3768 0.523
H -4.8517 -2.2301 1.5024 0.470
H -7.2757 -2.8365 1.5780 0.455
H -7.9968 -4.9843 0.5255 0.299
N -8.3859 -11.4739 6.5328 -0.234
C -7.8720 -10.2615 6.8351 0.006
C -7.0103 -10.0325 7.8958 -0.700
C -6.6553 -11.1104 8.7000 -0.141
C -7.1697 -12.3711 8.4152 -0.523
C -8.0217 -12.5015 7.3303 -0.203
└──

Job
It remains to restate the calculation results further up verbatim.

Here it is
13 unconnected molecules or ions with the total composition C73H77FIN15OS at a distorted geometry, computed with the ωB97M-V functional and the def2-TZVPD basis.

```
169
Properties=species:S:1:pos:R:3:mulliken_charge:R:1
C -1.1870 -1.6767 -2.3957 -0.918
C -2.3172 -0.9343 -1.4115 0.344
O -2.9408 0.1214 -2.2217 -0.276
C -4.4079 0.1144 -2.1298 -0.479
C -4.9913 1.4005 -1.2438 1.229
C -4.2307 1.9755 0.1277 0.301
F -2.9922 1.3460 0.6829 -0.290
C -4.7965 3.2918 0.9808 -0.733
I -3.7164 3.9763 2.7575 0.083
C -6.1460 4.1227 0.5433 0.460
N -6.8176 5.3458 1.1273 -0.493
S -8.2262 5.6570 0.0815 0.200
N -8.0976 4.3335 -1.1004 -0.480
C -6.8561 3.4764 -0.7899 0.019
C -6.3662 2.1647 -1.7040 0.181
C -7.3091 1.8006 -2.9936 -0.928
C -7.8942 0.2703 -3.0228 -0.542
C -7.9750 -0.4759 -1.5663 0.171
C -8.8989 0.2809 -0.4437 -0.063
N -10.0301 1.1176 -0.9985 -0.617
H -1.0171 -1.0015 -3.3381 0.218
H -0.1901 -1.7866 -1.7775 0.299
H -1.6065 -2.7491 -2.6953 0.270
H -3.0346 -1.7911 -1.0658 -0.251
H -1.7340 -0.5635 -0.4677 0.187
H -4.8082 0.3110 -3.2372 0.067
H -4.8842 -0.9006 -1.7958 0.304
H -6.6538 1.9868 -3.9596 0.323
H -8.2242 2.5623 -3.0780 0.351
H -7.1857 -0.3602 -3.7362 0.289
H -8.9382 0.3192 -3.5966 0.346
H -6.9352 -0.7256 -1.0781 -0.394
H -8.4944 -1.5326 -1.7640 0.382
H -8.1496 0.9244 0.2253 0.133
H -9.3196 -0.5531 0.2826 -0.220
H -9.6681 2.0914 -1.0952 0.331
H -10.4241 0.7384 -1.8871 0.285
N -10.6291 -3.5142 0.7218 -0.508
C -10.8149 -2.5292 1.6276 -0.506
C -10.8169 -2.7330 2.9983 -0.480
C -10.6205 -4.0260 3.4716 -0.346
C -10.4283 -5.0620 2.5634 0.045
C -10.4392 -4.7587 1.2114 -0.537
H -10.9671 -1.5386 1.2089 0.659
H -10.9683 -1.9039 3.6801 0.424
H -10.6169 -4.2249 4.5394 0.399
H -10.2732 -6.0807 2.9003 0.272
H -10.2901 -5.5321 0.4632 0.586
N 2.3141 5.2624 1.8931 -0.394
C 1.0869 5.2243 2.4570 -0.409
C 0.0414 4.4526 1.9759 0.034
C 0.2640 3.6743 0.8449 -0.139
C 1.5167 3.6938 0.2404 -0.765
C 2.5006 4.4948 0.7974 0.240
H 0.9619 5.8512 3.3350 0.359
H -0.9232 4.4586 2.4707 -0.121
H -0.5319 3.0574 0.4379 0.590
H 1.7220 3.0990 -0.6424 0.391
H 3.4959 4.5414 0.3643 0.078
N 8.0141 7.2912 0.4185 -0.592
C 6.7869 7.2531 0.9824 -0.376
C 5.7414 6.4814 0.5013 -0.133
C 5.9640 5.7031 -0.6297 0.015
C 7.2167 5.7226 -1.2341 -0.817
C 8.2006 6.5236 -0.6772 0.011
H 6.6619 7.8800 1.8605 0.386
H 4.7768 6.4875 0.9961 0.372
H 5.1681 5.0862 -1.0367 0.414
H 7.4220 5.1278 -2.1170 0.392
H 9.1959 6.5702 -1.1103 0.351
N -11.8821 -8.8178 3.1217 -0.505
C -10.6198 -9.2939 3.1954 -0.208
C -10.2174 -10.2762 4.0861 -0.481
C -11.1647 -10.8015 4.9586 -0.036
C -12.4725 -10.3302 4.9082 -0.499
C -12.7799 -9.3483 3.9802 -0.224
H -9.9168 -8.8503 2.4963 0.397
H -9.1904 -10.6228 4.0995 0.506
H -10.8863 -11.5718 5.6718 0.363
H -13.2339 -10.7187 5.5750 0.355
H -13.7877 -8.9505 3.8994 0.349
N 9.8404 2.8751 2.9372 -0.390
C 10.6920 3.2706 3.9086 -0.288
C 10.8724 4.5922 4.2842 -0.430
C 10.1386 5.5706 3.6218 -0.597
C 9.2548 5.1948 2.6155 0.259
C 9.1405 3.8473 2.3133 -0.426
H 11.2440 2.4707 4.3934 0.369
H 11.5684 4.8523 5.0735 0.371
H 10.2541 6.6173 3.8877 0.402
H 8.6689 5.9332 2.0800 0.129
H 8.4614 3.5034 1.5381 0.457
N 0.1513 2.9537 -4.9925 -0.452
C 0.6955 4.1884 -4.9224 -0.252
C 0.1845 5.2125 -4.1412 -0.507
C -0.9567 4.9589 -3.3876 -0.298
C -1.5413 3.6977 -3.4403 -0.438
C -0.9549 2.7369 -4.2484 -0.321
H 1.5826 4.3379 -5.5309 0.414
H 0.6644 6.1844 -4.1211 0.391
H -1.3869 5.7373 -2.7643 0.409
H -2.4314 3.4684 -2.8655 0.496
H -1.3717 1.7362 -4.3205 0.476
N -6.1108 -5.5344 -0.1024 -0.578
C -4.8066 -5.1830 -0.1319 -0.409
C -4.3099 -4.0168 0.4278 -0.393
C -5.2038 -3.1542 1.0534 -0.477
C -6.5536 -3.4876 1.0984 -0.233
C -6.9545 -4.6780 0.5134 -0.048
H -4.1493 -5.8869 -0.6341 0.387
H -3.2518 -3.7863 0.3768 0.523
H -4.8517 -2.2301 1.5024 0.470
H -7.2757 -2.8365 1.5780 0.455
H -7.9968 -4.9843 0.5255 0.299
N -8.3859 -11.4739 6.5328 -0.234
C -7.8720 -10.2615 6.8351 0.006
C -7.0103 -10.0325 7.8958 -0.700
C -6.6553 -11.1104 8.7000 -0.141
C -7.1697 -12.3711 8.4152 -0.523
C -8.0217 -12.5015 7.3303 -0.203